_Brief_
The reader should echo the lines further below up to the one that holds "0.7420", that line included.

_Contents_
~~~
# 1
Calculated powder diffractogram
Compound: BaCdS2
Radiation: Cu Kα
Structure: a GGA-PBE-relaxed structure
Kinematic intensities with the Lorentz-polarization factor, no thermal factor.

Structure:
```
BaCdS2
1.0
7.4626 0.0000 0.0000
0.0000 4.2259 0.0000
0.0000 0.0000 14.2638
Ba Cd S
4 4 8
Direct
0.1547 0.2500 0.1404
0.3453 0.7500 0.6404
0.6547 0.2500 0.3596
0.8453 0.7500 0.8596
0.1733 0.7500 0.3813
0.3267 0.2500 0.8813
0.6733 0.7500 0.1187
0.8267 0.2500 0.6187
0.0771 0.2500 0.7378
0.2361 0.7500 0.9699
0.2639 0.2500 0.4699
0.4229 0.7500 0.2378
0.5771 0.2500 0.7622
0.7361 0.7500 0.5301
0.7639 0.2500 0.0301
0.9229 0.7500 0.2622
```

Peak list (10 most intense, 10° ≤ 2θ ≤ 90°, by intensity)
30.7°, I = 100; 25.0°, I = 99; 27.3°, I = 70; 44.1°, I = 63; 24.7°, I = 43; 30.5°, I = 37; 39.8°, I = 29; 40.0°, I = 29; 42.8°, I = 28; 51.3°, I = 28

---

# 2
Calculated powder diffractogram
Compound: NaCu2O2
Radiation: Cu Kα
Structure: a GGA-PBE-relaxed structure
Kinematic intensities with the Lorentz-polarization factor, no thermal factor.

Structure:
```
NaCu2O2
1.0
6.2000 0.0000 0.0000
0.0000 2.9811 0.0000
0.0000 0.0000 13.2962
Na Cu O
4 8 8
Direct
0.1487 0.2500 0.0775
0.3513 0.7500 0.5775
0.6487 0.2500 0.4225
0.8513 0.7500 0.9225
0.1135 0.2500 0.7580
0.1337 0.2500 0.3871
0.3663 0.7500 0.8871
0.3865 0.7500 0.2580
0.6135 0.2500 0.7420
0.6337 0.2500 0.1129
0.8663 0.7500 0.6129
0.8865 0.7500 0.2420
0.0791 0.2500 0.6200
0.1483 0.2500 0.8974
0.3517 0.7500 0.3974
0.4209 0.7500 0.1200
0.5791 0.2500 0.8800
0.6483 0.2500 0.6026
0.8517 0.7500 0.1026
0.9209 0.7500 0.3800
```

Peak list (10 most intense, 10° ≤ 2θ ≤ 90°, by intensity)
42.0°, I = 100; 35.3°, I = 71; 36.3°, I = 65; 19.6°, I = 41; 13.3°, I = 35; 71.8°, I = 31; 60.0°, I = 31; 40.7°, I = 28; 59.6°, I = 19; 15.8°, I = 17

---

# 3
Calculated powder diffractogram
Compound: La3Cl
Radiation: Cu Kα
Structure: a GGA-PBE-relaxed structure
Kinematic intensities with the Lorentz-polarization factor, no thermal factor.

Structure:
```
La3Cl
1.0
4.8977 0.0000 0.0000
0.0000 4.8977 0.0000
0.0000 0.0000 4.8977
La Cl
3 1
Direct
0.0000 0.0000 0.5000
0.0000 0.5000 0.0000
0.5000 0.0000 0.0000
0.5000 0.5000 0.5000
```

Peak list (10 most intense, 10° ≤ 2θ ≤ 90°, by intensity)
31.6°, I = 100; 36.7°, I = 50; 62.9°, I = 40; 52.9°, I = 35; 86.6°, I = 17; 89.5°, I = 16; 18.1°, I = 14; 25.7°, I = 13; 66.1°, I = 12; 41.2°, I = 8

=====

Starting from a cell relaxed with PBE, the X-ray powder pattern of Hf4HN was simulated for a wavelength of 1.5418 Å.
No peak broadening, texture or thermal motion is included.

Peak list (8 most intense, 5° ≤ 2θ ≤ 70°, most intense first)
2θ/deg	I_rel
35.38	1000
34.25	514
62.06	264
49.22	169
38.44	157
64.21	140
59.21	95
52.54	72

Lattice parameters (Å, degrees): 7.405 7.405 6.968 90.00 90.00 90.00
Space group I4_1md (No. 109)
One atom of each set of equivalent atoms:
1 Hf 0.000 0.278 0.000 x8
2 Hf 0.000 0.291 0.547 x8
3 H 0.000 0.000 0.106 x4
4 N 0.000 0.000 0.524 x4

=====

Calculated powder X-ray diffraction pattern of ZrMn2Rh for Cu Kα (λ = 1.5418 Å), from a GGA-PBE-relaxed structure.
Intensities are scaled so that the largest is 100.

Principal peaks in the range 2θ from 10° to 80°, by angle:
index, Position (°2θ), intensity
1 1 2, 39.6, 100
0 0 4, 41.2, 22
0 2 0, 42.3, 21
0 2 4, 60.5, 13
1 1 6, 74.0, 14
1 3 2, 75.6, 14

Structural model:
Unit cell a=3.407 b=4.270 c=8.764 alpha=90.00 beta=90.00 gamma=90.00
Space group Imm2 (No. 44)
Unique sites:
1 Zr 0.000 0.000 0.000 (multiplicity 2)
2 Mn 0.000 0.000 0.477 (multiplicity 2)
3 Mn 0.000 0.500 0.238 (multiplicity 2)
4 Rh 0.000 0.500 0.744 (multiplicity 2)
~~~

_Completed_
# 1
Calculated powder diffractogram
Compound: BaCdS2
Radiation: Cu Kα
Structure: a GGA-PBE-relaxed structure
Kinematic intensities with the Lorentz-polarization factor, no thermal factor.

Structure:
```
BaCdS2
1.0
7.4626 0.0000 0.0000
0.0000 4.2259 0.0000
0.0000 0.0000 14.2638
Ba Cd S
4 4 8
Direct
0.1547 0.2500 0.1404
0.3453 0.7500 0.6404
0.6547 0.2500 0.3596
0.8453 0.7500 0.8596
0.1733 0.7500 0.3813
0.3267 0.2500 0.8813
0.6733 0.7500 0.1187
0.8267 0.2500 0.6187
0.0771 0.2500 0.7378
0.2361 0.7500 0.9699
0.2639 0.2500 0.4699
0.4229 0.7500 0.2378
0.5771 0.2500 0.7622
0.7361 0.7500 0.5301
0.7639 0.2500 0.0301
0.9229 0.7500 0.2622
```

Peak list (10 most intense, 10° ≤ 2θ ≤ 90°, by intensity)
30.7°, I = 100; 25.0°, I = 99; 27.3°, I = 70; 44.1°, I = 63; 24.7°, I = 43; 30.5°, I = 37; 39.8°, I = 29; 40.0°, I = 29; 42.8°, I = 28; 51.3°, I = 28

---

# 2
Calculated powder diffractogram
Compound: NaCu2O2
Radiation: Cu Kα
Structure: a GGA-PBE-relaxed structure
Kinematic intensities with the Lorentz-polarization factor, no thermal factor.

Structure:
```
NaCu2O2
1.0
6.2000 0.0000 0.0000
0.0000 2.9811 0.0000
0.0000 0.0000 13.2962
Na Cu O
4 8 8
Direct
0.1487 0.2500 0.0775
0.3513 0.7500 0.5775
0.6487 0.2500 0.4225
0.8513 0.7500 0.9225
0.1135 0.2500 0.7580
0.1337 0.2500 0.3871
0.3663 0.7500 0.8871
0.3865 0.7500 0.2580
0.6135 0.2500 0.7420